The Redemption, Volume 1
Page 113
wedateri, -em, -a, -am (way-duh-TARE-ee, -ehm, -ah, -ahm) these are corruptions of the vedem through the application of fire, although their blue skin might lead us to believe that ice was used; the two varieties of these creatures–blue and green skin colors, the green inhabiting the Mariskal–discounts this supposition; tall and powerful, they also possess the ability to regenerate quickly, although stories of new wedaterem regenerating from cut-off limbs seem to be exaggerations of fact; it is believed that the green-skinned swamp variety were failures of Gar, abandoned in the Mariskal; experts agree that the green skin of this variety shows Gar’s failure to completely corrupt the original vedem, who were based on water and air.
kailu, -um (KY-loo, -loom) order of healers founded by Shigmar, divided in the year 73 into the green and red orders when one-third of the kailum dissented over the use of certain powers, the red serving Gar while the green continued loyal to the One; the red have their home across the bay from Belford, where it is believed they perform unholy rites involving sex, sacrifice, and the creation of purgle and raising of nekerpum; some evidence suggests that there is a third division among these orders, called the genewum, or those who protect and serve the natural world, but their numbers are so small, being dissenters of the other two, that they are seen as a sub-group rather than their own order; primary attributes of this order are wisdom and compassion. The green order is led by a ruling council of five masters from the school, chosen from the Assembly of all green kailum, with the school’s headmaster as the sixth member and leader of the council.
kortexi, -em (kore-TEKS-ee, -ehm) order of fighters founded by Karble, dedicated to following the One and protecting the weak and innocent; this order follows a strict code of conduct, with especially rigid rules involving relations with wetham; primary attributes of this order are strength, stamina, and prowess in battle. The leader of this order, called the Wesento, is chosen from the most senior and experienced of the order.
maghi, -em (MAHG-ee, -ehm–again, the ‘g’ of ‘go’) order of sorcerers founded by Melbarth, divided atno 67 into the white and black when one-half of the maghem dissented concerning the raw use of the Void; the black became servants of Gar and made their home in Eklor; rumor has it that the cape upon which their home is located was shattered by the misuse of the raw Void atno 1134; a third division occurred around atno 700, when many dissented from the black, believing the order had become too much the creature of Gar, giving them little freedom to act; this group formed the gray order, called the methaghem, who wished to be independent; their first home was in Metarb, at the edge of the Thruplar and the Reuthowen; later, when their numbers increased, they expanded to Mestoimo, and island in the Inner Sea, and Methpag on an island in Misty Lake; primary attributes of this order are logic and intellect. The white order is ruled by a council of ten hierarchs, with a chair and eleventh member, called the sedra.
seklesi, -em, -a, -am (say-KLESS-ee, -ehm, -ah, -ahm) order of soldiers and rangers, founded by Shigmar, Karble, and Melbarth atno 39, when the three realized that Gar would conquer them one by one if they did not unite all three of their orders into one; this order was created to patrol and protect the land, with six regular legions and one elite legion, who protect the Fereghen and Feragwen; the first three legions, along with the elite legion, remain in Holvar at all times; the last three legions are spread throughout the land on patrol, rotating in and out of Holvar every six weeks; another legion, called the Sea Legion, patrols the waters; a further legion, the Training Legion, or uwonti, are those studying to become seklesem and are housed in Holvar; a Seventh Legion, called the gwenakso and formed of the very best seklesem, can be formed by the Feragwen during times of great difficulties; however, it has been several centuries since this legion was organized, so it has become part of seklesi legend.
earth colored orange, symbol: !
water colored green, symbol: #
air colored yellow, symbol: %
fire colored red, symbol: @
ice colored blue, symbol: $
time colored purple, symbol: ^
light colored white, symbol: *
Void colored black, symbol: &
ayesu, -um (aye-YEAH-soo) copper, smallest coin, twenty-five to an argentu, one hundred to a ghelwu.
argentu, -um (ar-GEHN-too) silver, middle-sized coin, four to a ghelwu.
ghelwu, -um (GEL-woo) gold, larger-sized coin, twenty to a platu, at current rates.
platu, -um (PLAH-too) platinum, largest coin, very rare and extremely valuable, few, if any, are in circulation.
ansu (AHN-soo) a spirit, detached from a physical body; some believe an ansu can inhabit a person’s body and control it, but only a kwalu is capable of actual possession; see kwalu, below.
argwiwo (are-GWEE-wo) silvery liquid used by kailum to aid in casting an aura upon a person; also known in other circles as quicksilver.
Avril (AHV-ril) kailu Master of Healing, responsible for running the Infirmary, member of the ruling council of Shigmar; name means ‘white running stream,’ i.e., ‘whitewater rapids.’
Blekan (BLAY-kahn) Klarissa’s father; name means ‘strong singer’
ekludi, -em (eh-KLOO-dee) intelligent, power-wielding creature of the elemental realm of air; larger than the horse with a single horn; communicates through mind-speech; this creature never touches the ground but floats through the air.
Demansa (day-MAHN-sah) one of a pair of ponkola sisters, favorites of Gar, sister of Rupansa, name means ‘the she-demon’.
Elker (EHL-ker) rebel son of The One, see Gar.
Elos (AY-lohs) loyal son of the One through whom He acts.
Fatawssy (fah-TAH-see) female pleugle, servant of Motodu, found and rescued by chosen in Morokolu; it is unknown if her name has any particular meaning, although Hierarch Thalamar believes the ending, ‘-assy,’ is patronymic in its derivation.
Feragwen (FAY-rah-gwehn) female leader of the seklesem and joint ruler of all the land, joined to the Fereghen; title means ‘high queen.’
Fereghen (FAY-ray-ghen) male leader of the seklesem and joint ruler of all the land, joined to the Feragwen; title means ‘high king.’
Felorno (fay-LOR-no) minister, herald, and messenger of the Lord of Air.
Fregren (FRAY-grehn) kortexi altered by Gar and Motodu, sent back to Karble to destroy the order; name means ‘broken mind.’
Gar (gahr) Lord of Evil, fallen son of the One, cast with his followers into the underworld for rebellion; formerly name Elker; symbol:
geuskeldu (gay-oos-KELL-doo) archway/chamber of advancement used by the maghem to test themselves and advance in power and abilities.
Ghelvon (GHEL-vahn) kailu Master of Battle, member of the ruling council of Shigmar; name means ‘to make oneself ready to shine.’
gheusu, -um (GAY-oo-soo) one who is chosen, in this case, by the One; reference to the chosen of the One.
Ghreis Prokarts (grace PROH-karts) kailu Master of Soldiers, chief commander of the soldiers protecting Shigmar, member of the ruling council of Shigmar; name means ‘strength from anointing.’
Guengle (GWEHN-gul) the name means ‘woman of cold’; she is the ruler of ice who aided Gar in the beginning before they had a falling out with each other; unlike Gar, she was not driven out for rebellion, but she, with her followers, left the presence of the One to rule her own realm; she helped create all the corruptions that include ice.
Gwemo (GWAY-mo) formal greeting, Hail!
gwenakso (gwayn-AHK-so) the fabled Seventh Legion of the seklesem, organized by the Feragwen whenever she feels sufficient threat exists; the name means “the sharp sword of the queen.”
Gwoneru (GWAHN-eh-roo) Aperu-slayer, the name of Rokwolf’s sword.
kara, -am (KAH-ra) prostitute, whore, female slaves kept by red kailum.
karasun (KAH-rah-soon) a curse word that literally means ‘son, or daughter, of a whore.’
br /> Karble (KAR-bul) first and greatest kortexi, founded the order of the kortexem; his name means ‘bold strength.’
kelnan-ditistas (KELL-nahn-DEE-tee-stahs) the word means, literally, ‘the room of stopped time’; space created in which time outside of the room can be slowed almost to a stop.
kenu-seklesi (KAY-noo-say-KLEHS-ee) the Intermediate Training Cycle of the seklesem, from ages 12-16, also housed in the center above Holvar in the eastern spur of the Monti-sterlastan. This group learns weapons & fighting skills, further mental skills, and is organized into patrols & companies to learn these skills along with the patrol structure and responsibilities within; advance when all skills are mastered in groups at mid-year and year’s end around age 16, moving on to the mari-seklesi for the Final Training Cycle. Also called the uwonti or ‘younglings’ in the vulgar tongue.
kerono, -em (kay-ROH-no) creature between the ekludi and the horse, with a single horn and very rare; the few still living are watched over by the vedem, deep in the forest; they are considered holy creatures by the vedem, who believe they are fallen ekludem, and considered to be symbols of beauty, colored gold or white.
kerteradi, -em (kare-tare-RAH-dee) name given by the servants of Gar to those of good orders who sell out to Gar; the name carries the sense of ‘traitor’; these converted servants of Gar are not trusted by other servants.
klitodweri, -em (klee-TODD-weh-ree) scout order organized by Tevvy’s father; the name means ‘one who listens at doors’; these are ‘thieves’ who serve the One and the orders of good.
Leukila (loo-KEE-la) Klarissa’s mother; name means ‘bright one.’
magluku (mah-GLOO-koo) a globe of light, powered by the light element.
Malkonik (mal-KOHN-ik) apprentice to Master Ghelvon, name means ‘the ill-hung hinge.’
markorni, -em (mahr-KOR-nee) creature of the realm of Air, winged horses, none have ever been seen outside this realm.
mekala (may-KAH-lah) the greater council of the green kailum, sometimes called the ‘full assembly’, which consists of all kailum who gather to Shigmar to hear and decide on matters that concern the order, e.g., to choose a new headmaster for the school. A full initiate of the order can only be judged and sentenced by the mekala whereas matters of discipline involving apprentices are judged and sentenced by the ruling council alone.
Melbarth (MEL-barth) founder of the white maghi order, he was the first sedra of the white maghi order, his name means either ‘soft beard’ or ‘strong ax’, none are sure which, although his followers argue for the latter.
methaghi, -em (meh-THAHG-ee) the gray sorcerers; those who refuse to choose good or evil, but instead prefer an equal balance between the two cosmic forces.
montista (mahn-TEE-stah) stone of power into which the Wesento, leader of the kortexem, looks to see the future of the initiate before he leaves to ascend the Mountain of Vision.
Monti-stethreu (MOHN-ti-STAY-thray-oo) range of mountains running east-west through the north, translated as ‘Mountains of the Fallen Star.’
Monti-sterlastan (MOHN-tee stair-LAHS-tahn) range of mountains running north-south, translated as ‘Mountains of the Firm Star.’
Morokolu (moh-ROH-koh-loo) at the center of the Mariskal, home of the morgle, Motodu; an ancient, sunken fortress; name means ‘great dome.’
morosku, -um (moh-ROH-skoo) giant creature of the realm of Air, sometimes called giant of the cloud, standing around eighteen feet in height; related to the krugle and megatrem.
Motodu (moh-TOH-doo) powerful morgle inhabiting Morokolu who steals, with the aid of Gar, the Rod of Melbarth; name means ‘mind eater.’
Myron (MY-rohn) Headmaster of the kailu school, Master of the Arcane Arts, leader of the ruling council of Shigmar; name means ‘the eagle of timely news.’
Nefli (NEH-flee) leader of the vedem.
Neflo (NEH-flo) son of Nefli, one of the vedem who leads a company of his people to rescue the chosen and exhorts them not to use Shigmar’s staff.
Nefora (neh-FO-rah) Lady of the elemental realm of Air, wife of Wethkuro; she is one of the moroskum.
negumflu, -um (neh-GOOM-floo) reptiles believed to be the ancient ancestors of the aperum, inhabiting the waters of the Mariskal; similar to but larger, and more vicious, than our alligator.
Nekerp (NEH-kerp) ‘Death Harvester’ Lord of the Dead who takes spirits from life into the land of the dead; to become a purgle, the maghi or kailu sacrifices his or her life essence to this demigod, for it is through his authority and power that the purgle raises corpses to become nekerpum.
Next to the entry, the page also holds quantum chemistry results =
/*
Run a
8
Properties=species:S:1:pos:R:3 method="wB97M-V/def2-TZVPD" e_lumo_ev="-2.44 / -0.66" total_charge=0 spin_multiplicity=1 orbital_gap_ev="6.9 / 9.7" homo_ev="-9.3 / -10.4"
C -0.082 0.668 -0.039
C 0.722 -0.427 -0.190
N -1.478 0.421 -0.289
O 0.086 1.898 0.129
O -2.406 -0.277 0.266
H 0.370 -1.409 -0.511
H 1.723 -0.409 -0.116
H -1.942 1.299 -0.477



Run b
8
Properties=species:S:1:pos:R:3 method="wB97M-V/def2-TZVPD" e_lumo_ev=0.78 total_charge=0 spin_multiplicity=1 orbital_gap_ev=11.5 homo_ev=-10.7 smiles="O=CNC=O"
C -1.135 0.199 -0.568
C 0.663 -0.555 0.957
H -1.776 -0.460 0.048
H 0.922 0.663 -0.643
H -0.174 -1.094 1.452
N 0.198 0.194 -0.133
O -1.526 0.802 -1.556
O 1.835 -0.594 1.274



Run c
8
Properties=species:S:1:pos:R:3 method="wB97M-V/def2-TZVPD" e_lumo_ev=1.02 total_charge=0 spin_multiplicity=1 orbital_gap_ev=11.5 homo_ev=-10.5
O 3.040 -0.371 -0.086
C 2.183 0.303 -0.397
N -0.358 -0.787 0.514
C -1.174 0.076 0.074
O -0.780 1.139 -0.633
H 0.192 1.077 -0.704
H -0.843 -1.515 1.030
H -2.260 0.078 0.202



Preferred: run b; penalty for the next structure: 14.6 kcal/mol.



Run a
8
Properties=species:S:1:pos:R:3 method="wB97M-V/def2-TZVPD" e_lumo_ev=0.24 total_charge=0 spin_multiplicity=1 orbital_gap_ev=11.5 homo_ev=-11.3 smiles=N#CC(O)O
C 1.940 0.064 0.024
C 0.561 -0.147 -0.246
N 3.087 0.106 0.040
O -0.159 1.275 0.200
O 0.055 -1.196 0.428
H 0.264 -0.031 -1.257
H -0.407 1.160 1.073
H -0.351 -1.867 -0.090



Run b
8
Properties=species:S:1:pos:R:3 method="wB97M-V/def2-TZVPD" e_lumo_ev=0.71 total_charge=0 spin_multiplicity=1 orbital_gap_ev=11.0 homo_ev=-10.3 smiles="N=C=O.C=O"
C -1.162 -0.726 -1.127
C 1.009 1.208 1.098
N -0.917 -1.890 -1.265
O -1.566 0.356 -1.208
O 1.331 0.604 0.112
H 0.213 1.974 1.203
H 1.621 1.095 2.057
H -0.528 -2.622 -0.870



Preferred: run b; penalty for the next structure: 14.7 kcal/mol.



Run a
8
Properties=species:S:1:pos:R:3 method="wB97M-V/def2-TZVPD" e_lumo_ev=0.91 total_charge=0 spin_multiplicity=1 orbital_gap_ev=11.1 homo_ev=-10.2 smiles=N.N
N 2.732 0.967 -0.860
H 2.213 1.772 -1.225
H 3.582 1.334 -0.420
H 2.162 0.559 -0.112
N -2.817 -0.937 0.766
H -2.177 -0.639 0.023
H -3.443 -1.638 0.356
H -2.252 -1.419 1.472



Run b
8
Properties=species:S:1:pos:R:3 method="wB97M-V/def2-TZVPD" e_lumo_ev=1.21 total_charge=0 spin_multiplicity=1 orbital_gap_ev=11.0 homo_ev=-9.8 smiles=N.N
H 1.644 0.097 0.974
H 2.531 -0.533 -0.228
H 1.876 0.858 -0.358
H -1.791 -0.862 -0.461
H -2.639 0.276 0.275
H -1.299 0.722 -0.523
N 1.622 -0.053 -0.026
N -1.668 -0.026 0.072



Preferred: run a; penalty for the next structure: 2.9 kcal/mol.



Run a
12
Properties=species:S:1:pos:R:3 method="wB97M-V/def2-TZVPD" e_lumo_ev=0.78 total_charge=0 spin_multiplicity=1 orbital_gap_ev=8.8 homo_ev=-8.0
C -1.793 -0.169 0.863
C -0.347 -0.009 -1.048
C 0.891 0.390 -1.447
C 1.024 -0.101 0.890
C -0.289 -0.373 0.338
H -1.880 0.656 1.541
H -2.657 -0.955 1.265
H 1.185 0.393 -2.413
H 2.757 -0.205 -0.379
H 1.632 -0.080 1.782
N 1.667 0.317 -0.328
S -2.190 0.135 -1.064
*/
Ni vorga daluna. Corova dar el! Phrase shouted by Sir Blakstar in Mariskal that broke the darkness that threatened them; language is that of the One; Hierarch Thalamar believes it means: ‘You do not frighten us! We are servants of the One!’ Alternatively, the first line could be, ‘you cannot crush us with darkness and evil,’ which may be more applicable to the circumstances in which Sir Blakstar used the phrase.
The One supreme deity, ruler of the universe and father of all; symbol:.
Opnimon (AHP-nee-mahn) one of Elos’s disguises; the name means ‘the all man,’ or ‘everyman.’
Orkegan (or-KEE-guhn) evil lord of the air and servant of Gar who claims to rule this elemental realm.
orthek, -s (OHR-thehk) the act of working or weaving elemental forces into a single focus or action using a word or phrase from ancient; for example, when a kailu or maghi produces a light using the word magluku as the focus point of the elemental forces, in this case, light, to provide illumination, and time, to keep it operating through time.
Paaki (pay-AH-kee) leader of the ekludi guarding the Mountain of Vision; name means ‘sharp protector.’
peuaritum (poo-air-EE-toom) kortexi rituals of purification necessary before entering Karble.
Platta (PLAH-tah) name of the female, platinum aperu, killed shortly after the world was made.
Platti (PLAH-tee) name of the male platinum aperu, who sits on the tower above the gate to Wethkuro’s palace in the realm of Air, keening a lament to his lost mate every hour.
potiethro, -em (po-TEETH-ro) giant creature of the realm of Air, rules the realm, sometimes called giant of the storm; stands around twenty-four feet in height, although rumor has it that Wethkuro is thirty-two feet tall; related to the krugle and megatrem; it may be that the megatrem are corruptions of the potiethrem, but this supposition cannot be confirmed or denied.
potikoro (poh-TEE-koh-roh) title of the seklesi leader of all the legions, right hand of the Fereghen.
potuka (poh-TOO-kah) curse reserved for females who are too free with their ‘favors,’ it means, literally, ‘she with the open thighs,’ i.e., ‘slut.’
Presgrut (PRAYS-groot) alchemist in Rykelle used by Meekor; name means ‘twisted old man.’
Rebeth (RAY-behth) Klaybear’s friend and fellow apprentice, intended of Sutugno; name means ‘to trust again.’
Rupansa (roo-PAHN-sah) one of a pair of ponkola sisters, favorites of Gar; sister of Demansa, name means ‘the ripping demon.’
rumepant (ROO-may-pahnt) the dimension beyond space and time through which those who travel from one place to another by teleportation; all places within this realm are an equal distance apart, roughly one hour of time.
sedra (SEH-drah) leader of the council of Melbarth, name means, simply, ‘chair.’
Shigmar (SHIG-mar) founder and first leader of the order of kailum; his name means ‘fashioner of writing,’ which is a ‘scribe.’
skrufoti (skroo-FOH-tee) shrub native to the Wolpoti Swamp with bright red berries that are used to make a poison; name means ‘poison shrub.’
Storga Keney (STOHR-gah KAY-nee) kailu Mistress of Novices, responsible for the female novices, wife of Wegex Deruney, member of the ruling council of Shigmar; name means ‘hard youth.’
Sutugno (suh-TUHG-no) Klare’s best friend and green kailu apprentice; name means ‘full friend.’
teka (TAY-kah) the art of working with or weaving elemental forces as p
racticed by the orders of kailum and maghem.
tekson (TEHX-sohn) one who works with or weaves elemental forces, i.e., a kailu or maghi.
tengle (TEHN-gul) frost-box, small, elementally enhanced cabinet used to keep food cold, using both ice and time elements.
texarti, -em (rare) (teks-AR-tee) web of power that surrounds the victim and allows the maghi to torment and control the victim, powered by air, water, and fire elements.
thukro (THOO-kro) town leader, master of city or town.
uwonti, em (oo-WAHN-tee) another name for the training legions of the seklesem, see kenu-seklesi.
verghrenum (vair-GREN-oom) literally, ‘hider of thoughts & protector of mind’; bracers, bracelets worn by the chosen to protect their minds from tampering by Gar; allows them to contact and find each other; created by Melbarth.
vukeetu (voo-KEE-too) globe of elemental forces that gives the maghi a glimpse into his or her own future.
Wegex Deruney (WAY-ghehx day-ROO-nee) kailu Master of Novices, responsible for the male novices, husband of Storga Keney, member of the ruling council of Shigmar; name means ‘lively and steadfast tree.’
wepanu, -um (way-PAH-noo) an evil spirit escaped from the underworld to haunt the land of the living, or so it is believed.
Wesento (wee-SEHN-to) title/name of the leader and master of the kortexem, chosen from the oldest and most experienced of the order by a vote of the senior kortexem; he serves until his death.
Wethkuro (wayth-KOO-ro) Lord of the elemental realm of Air, one of the potiethro, husband to Nefora.
Fokortheku: Book of Ortheks
*To pronounce the following words from ancient: all consonants and vowels are spoken; the vowels sound like the vowels of a European language, other than English:
‘a’ like ‘father’